Request.
Next, repeat every line below that contains the word "Ho1".

Excerpt.
Entry 1:
Theoretical XRD peak list
Compound: YErH2O4
Radiation: Cu Kα
Structure: a structure optimized by DFT (GGA-PBE)
Kinematic intensities with the Lorentz-polarization factor, no thermal factor.

Atomic structure:
```
data_YErH2O4
_chemical_formula_sum 'Y1 Er1 H2 O4'
_space_group_name_H-M_alt 'P 1 m 1'
_space_group_IT_number 6
_cell_length_a 4.2854
_cell_length_b 3.5861
_cell_length_c 5.9093
_cell_angle_alpha 90.00
_cell_angle_beta 109.52
_cell_angle_gamma 90.00
loop_
_space_group_symop_operation_xyz
'x,y,z'
'x,-y,z'
loop_
_atom_site_label
_atom_site_fract_x
_atom_site_fract_y
_atom_site_fract_z
Y1 0.0000 0.0000 0.0000
Er1 0.3300 0.5000 0.6197
H1 0.6560 0.0000 0.4049
H2 0.6767 0.5000 0.2231
O1 0.4196 0.0000 0.3775
O2 0.4316 0.0000 0.8614
O3 0.8954 0.5000 0.7520
O4 0.9129 0.5000 0.2492
```

Most intense lines, 2θ from 5° to 70°, sorted by position:
| d_spacing | I (rel.) |
| --- | --- |
| 5.570 | 520 |
| 4.039 | 353 |
| 3.958 | 517 |
| 3.015 | 1000 |
| 2.848 | 500 |
| 2.682 | 323 |
| 2.658 | 547 |
| 2.199 | 381 |



Entry 2:
Theoretical XRD peak list
Compound: PrErH4
Radiation: Cu Kα
Structure: a structure optimized by DFT (GGA-PBE)
Kinematic intensities with the Lorentz-polarization factor, no thermal factor.

Atomic structure:
```
data_PrErH4
_chemical_formula_sum 'Pr1 Er1 H4'
_space_group_name_H-M_alt 'P 4/m m m'
_space_group_IT_number 123
_space_group_name_Hall '-P 4 2'
_cell_length_a 3.7220
_cell_length_b 3.7220
_cell_length_c 5.3769
_cell_angle_alpha 90.00
_cell_angle_beta 90.00
_cell_angle_gamma 90.00
loop_
_atom_site_label
_atom_site_fract_x
_atom_site_fract_y
_atom_site_fract_z
Pr1 0.0000 0.0000 0.0000
Er1 0.5000 0.5000 0.5000
H1 0.0000 0.5000 0.2734
```

Most intense lines, 2θ from 5° to 70°, sorted by position:
| d_spacing | I (rel.) |
| --- | --- |
| 3.060 | 1000 |
| 2.688 | 170 |
| 2.632 | 320 |
| 1.881 | 255 |
| 1.861 | 124 |
| 1.615 | 153 |
| 1.590 | 290 |
| 1.530 | 125 |



Entry 3:
Theoretical XRD peak list
Compound: HoErHf2Sb2
Radiation: Cu Kα
Structure: a structure optimized by DFT (GGA-PBE)
Kinematic intensities with the Lorentz-polarization factor, no thermal factor.

Atomic structure:
```
data_HoErHf2Sb2
_chemical_formula_sum 'Ho2 Er2 Hf4 Sb4'
_space_group_name_H-M_alt 'I 4 m m'
_space_group_IT_number 107
_space_group_name_Hall 'I 4 -2'
_cell_length_a 4.2488
_cell_length_b 4.2488
_cell_length_c 16.4253
_cell_angle_alpha 90.00
_cell_angle_beta 90.00
_cell_angle_gamma 90.00
loop_
_atom_site_label
_atom_site_fract_x
_atom_site_fract_y
_atom_site_fract_z
Ho1 0.0000 0.0000 0.0000
Er1 0.0000 0.0000 0.3520
Hf1 0.0000 0.5000 0.1763
Sb1 0.0000 0.0000 0.5435
Sb2 0.0000 0.0000 0.8089
```

Most intense lines, 2θ from 5° to 70°, sorted by position:
| d_spacing | I (rel.) |
| --- | --- |
| 2.822 | 1000 |
| 2.738 | 376 |
| 2.599 | 325 |
| 2.425 | 941 |
| 2.124 | 584 |
| 1.678 | 441 |
| 1.645 | 174 |
| 1.502 | 194 |



Entry 4:
Theoretical XRD peak list
Compound: ErHf2In3Ir2
Radiation: Cu Kα
Structure: a structure optimized by DFT (GGA-PBE)
Kinematic intensities with the Lorentz-polarization factor, no thermal factor.

Atomic structure:
```
data_ErHf2In3Ir2
_chemical_formula_sum 'Er2 Hf4 In6 Ir4'
_space_group_name_H-M_alt 'A m m 2'
_space_group_IT_number 38
_cell_length_a 3.3199
_cell_length_b 13.2779
_cell_length_c 7.5474
_cell_angle_alpha 90.00
_cell_angle_beta 90.00
_cell_angle_gamma 90.00
loop_
_space_group_symop_operation_xyz
'x,y,z'
'-x,-y,z'
'-x,y,z'
'x,-y,z'
'x,y+1/2,z+1/2'
'-x,-y+1/2,z+1/2'
'-x,y+1/2,z+1/2'
'x,-y+1/2,z+1/2'
loop_
_atom_site_label
_atom_site_fract_x
_atom_site_fract_y
_atom_site_fract_z
Er1 0.0000 0.0000 0.0000
Hf1 0.0000 0.2122 0.6313
In1 0.5000 0.0000 0.6483
In2 0.5000 0.1166 0.3061
Ir1 0.5000 0.1730 0.9158
```

Most intense lines, 2θ from 5° to 70°, sorted by position:
| d_spacing | I (rel.) |
| --- | --- |
| 6.639 | 176 |
| 6.561 | 168 |
| 2.505 | 1000 |
| 2.493 | 647 |
| 2.472 | 246 |
| 2.347 | 222 |
| 2.334 | 546 |
| 1.382 | 164 |



Entry 5:
Theoretical XRD peak list

Response.
Ho1 0.0000 0.0000 0.0000